_Given_
<<<
1.
VASP calculation (PBE) on a relaxed structure of ErScBeCu.

The structure in POSCAR format:
```
ErScBeCu
1.0
-2.781 -0.384 -3.764
-1.998 -4.122 -1.032
-4.629 -0.568 0.548
Sc Be Cu Er
1 1 1 1
direct
0.500 0.500 0.500 Sc
0.750 0.750 0.750 Be
0.250 0.250 0.250 Cu
0.000 0.000 0.000 Er
```

volume	73	Å³ per cell
SG	F-43m (216)
calculated formation energy	-0.095	eV/atom

---

2.
VASP calculation (PBE) on a relaxed structure of MgAg2Au.

The structure in POSCAR format:
```
MgAg2Au
1.0
5.070 -0.039 0.038
4.085 3.004 0.038
1.117 0.362 4.723
Mg Au Ag
1 1 2
direct
0.246 0.246 0.263 Mg
0.504 0.504 0.487 Au
0.999 0.999 0.993 Ag
0.751 0.751 0.757 Ag
```

volume	73	Å³ per cell
SG	Cm (8)
calculated formation energy	-0.199	eV/atom

---

3.
VASP calculation (PBE) on a relaxed structure of RbSn4Se5.

The structure in POSCAR format:
```
RbSn4Se5
1.0
4.192 0.000 0.957
1.811 6.981 1.726
-0.062 -0.309 9.924
Rb Sn Se
1 4 5
direct
0.000 0.000 0.000 Rb
0.602 0.203 0.594 Sn
0.201 0.394 0.205 Sn
0.799 0.606 0.795 Sn
0.398 0.797 0.406 Sn
0.199 0.928 0.673 Se
0.801 0.072 0.327 Se
0.388 0.350 0.874 Se
0.000 0.500 0.500 Se
0.612 0.650 0.126 Se
```

volume	292	Å³ per cell
SG	C2/m (12)
formation energy (no corrections)	-0.536	eV per atom

---

4.
VASP calculation (PBE) on a relaxed structure of HoHfPd6.

The structure in POSCAR format:
```
HoHfPd6
1.0
4.058 0.000 0.000
0.000 4.058 0.000
0.000 0.000 8.125
Ho Hf Pd
1 1 6
direct
0.000 0.000 0.000 Ho
0.000 0.000 0.500 Hf
0.500 0.500 0.000 Pd
0.500 0.500 0.500 Pd
0.500 0.000 0.260 Pd
0.500 0.000 0.740 Pd
0.000 0.500 0.260 Pd
0.000 0.500 0.740 Pd
```

volume	134	Å³ per cell
SG	P4/mmm (123)
calculated formation energy	-0.905	eV/atom

---

5.
VASP calculation (PBE) on a relaxed structure of TiNbBi2.

The structure in POSCAR format:
```
TiNbBi2
1.0
6.548 0.000 0.000
0.000 6.548 0.000
3.274 3.274 6.461
Nb Bi Ti
2 4 2
direct
0.000 0.000 0.000 Nb
0.750 0.250 0.500 Nb
0.622 0.125 0.250 Bi
0.128 0.625 0.250 Bi
0.375 0.378 0.750 Bi
0.875 0.872 0.750 Bi
0.500 0.500 0.000 Ti
0.250 0.750 0.500 Ti
```

volume	277	Å³ per cell
SG	I-42d (122)
energy relative to the lowest polymorph listed for this composition	16.31	kcal/mol of atoms
calculated formation energy	0.861	eV/atom

---

6.
VASP calculation (PBE) on a relaxed structure of LaSm2Ag2.

The structure in POSCAR format:
```
LaSm2Ag2
1.0
-3.525 0.304 1.196
-1.781 -1.981 -4.748
2.387 -13.020 4.538
La Sm Ag
2 4 4
direct
0.856 0.750 0.710 La
0.144 0.250 0.290 La
0.048 0.750 0.095 Sm
0.952 0.250 0.905 Sm
0.234 0.750 0.468 Sm
0.766 0.250 0.532 Sm
0.642 0.750 0.283 Ag
0.358 0.250 0.717 Ag
0.456 0.750 0.911 Ag
0.544 0.250 0.089 Ag
```

volume	282	Å³ per cell
SG	P2_1/m (11)
energy relative to the lowest polymorph listed for this composition	0.00	kcal/mol of atoms
calculated formation energy	-0.198	eV/atom

---

7.
VASP calculation (PBE) on a relaxed structure of TeHPdI2.

The structure in POSCAR format:
```
TeHPdI2
1.0
5.654 0.000 0.000
0.000 5.654 0.000
0.000 0.000 5.182
I H Te Pd
2 1 1 1
direct
0.000 0.500 0.000 I
0.500 0.000 0.000 I
0.500 0.500 0.500 H
0.000 0.000 0.500 Te
0.000 0.000 0.000 Pd
```

volume	166	Å³ per cell
SG	P4/mmm (123)
energy relative to the lowest polymorph listed for this composition	0.00	kcal/mol of atoms

---

8.
VASP calculation (PBE) on a relaxed structure of AcY5Sb6.

The structure in POSCAR format:
```
AcY5Sb6
1.0
-3.716 -2.839 -6.162
1.801 -7.468 -0.900
-4.264 -5.451 3.455
Y Sb Ac
5 6 1
direct
0.500 0.162 0.676 Y
0.000 0.332 0.336 Y
0.500 0.500 0.000 Y
0.000 0.668 0.664 Y
0.500 0.838 0.324 Y
0.741 0.087 0.346 Sb
0.259 0.567 0.346 Sb
0.255 0.262 0.000 Sb
0.745 0.738 0.000 Sb
0.741 0.433 0.654 Sb
0.259 0.913 0.654 Sb
0.000 0.000 0.000 Ac
```

volume	378	Å³ per cell
SG	C2/m (12)
formation energy (no corrections)	-1.151	eV per atom

---

9.
VASP calculation (PBE) on a relaxed structure of Bi3TeMo.

The structure in POSCAR format:
```
Bi3TeMo
1.0
-3.086 2.511 -3.619
0.810 -4.020 -3.480
-4.330 -2.542 1.928
Mo Te Bi
1 1 3
direct
0.000 0.000 0.000 Mo
>>>

_Assignment_
Your job: transcribe every line further above that contains the word "Ti".

_Written answer_
Nb Bi Ti
0.500 0.500 0.000 Ti
0.250 0.750 0.500 Ti